Our Experience
SERT has been doing international consulting in various sectors, such as oil and gas, mining, exploration, government, and non-profit for over 26 years. Our team has deep expertise in enterprise risk management (ERM) training, workshops, and assessment, security risk management, strategic planning, cybersecurity, crisis management, and pandemic management.
Information Technology Solutions
Delivery and management of the contract providing the largest records management system in the southern hemisphere with over 300 million records and 70,000 active users for the Department of Defence.
Selection, management, and oversight of the team delivering security governance for Australia’s largest ICT project, the National Broadband Network.
Strategic consultant providing data modeling, business strategy, a technical roadmap, user experience/interface specifications, and business process re-engineering for the SECTARA risk and compliance SaaS software platform.
Business process review of a portfolio of over 600 properties for Woodside Energy Ltd to design and deliver a sophisticated management framework and geographical information system for facilities management.
**Crystal structures, as found in the file**
+++
Entry 1:
For Li5Ca9B7O21F2, a cell relaxed with PBE gives the simulated powder diffraction line list in this record (λ = 1.5418 Å (Cu Kα)).

Peak list (10 most intense, 2θ from 10° to 80°, in order of falling intensity)
2θ = 50.9°, rel. 100.0, (2 0 0); 2θ = 28.4°, rel. 93.1, (-1 1 2); 2θ = 32.2°, rel. 84.6, (1 3 1); 2θ = 20.8°, rel. 77.7, (0 2 3); 2θ = 28.7°, rel. 73.0, (-1 2 1); 2θ = 15.7°, rel. 63.6, (0 2 0); 2θ = 36.5°, rel. 61.3, (0 4 -1); 2θ = 28.1°, rel. 59.6, (1 1 -1); 2θ = 36.4°, rel. 59.4, (0 1 5); 2θ = 29.3°, rel. 57.9, (1 2 2)

```
data_Li5Ca9B7O21F2
_symmetry_space_group_name_H-M 'P 1'
_symmetry_Int_Tables_number 1
_symmetry_space_group_name_Hall 'P 1'
_cell_length_a 3.590
_cell_length_b 12.987
_cell_length_c 13.037
_cell_angle_alpha 60.20
_cell_angle_beta 89.89
_cell_angle_gamma 88.43
loop_
_atom_site_label
_atom_site_fract_x
_atom_site_fract_y
_atom_site_fract_z
Li1 0.000 0.000 0.000
Li2 0.007 0.319 0.163
Li3 0.481 0.370 0.513
Li4 0.942 0.844 0.477
Li5 0.979 0.665 0.886
Ca1 0.000 0.158 0.589
Ca2 0.417 0.841 0.273
Ca3 0.468 0.681 0.697
Ca4 0.482 0.543 0.101
Ca5 0.499 0.921 0.848
Ca6 0.505 0.207 0.994
Ca7 0.525 0.111 0.370
Ca8 0.958 0.572 0.332
Ca9 0.987 0.419 0.720
B1 0.455 0.643 0.505
B2 0.492 0.345 0.337
B3 0.499 0.169 0.801
B4 0.967 0.765 0.096
B5 0.981 0.056 0.214
B6 0.988 0.460 0.927
B7 0.992 0.926 0.625
O1 0.006 0.856 0.982
O2 0.024 0.021 0.509
O3 0.031 0.150 0.235
O4 0.038 0.070 0.103
O5 0.438 0.759 0.487
O6 0.449 0.629 0.406
O7 0.473 0.457 0.324
O8 0.477 0.549 0.619
O9 0.496 0.150 0.705
O10 0.496 0.246 0.450
O11 0.500 0.283 0.787
O12 0.501 0.072 0.915
O13 0.507 0.331 0.239
O14 0.872 0.948 0.307
O15 0.926 0.787 0.190
O16 0.952 0.812 0.646
O17 0.969 0.646 0.123
O18 0.981 0.555 0.812
O19 0.991 0.485 0.020
O20 0.993 0.344 0.947
O21 0.999 0.951 0.717
F1 0.476 0.707 0.886
F2 0.980 0.384 0.545
```

---

Entry 2:
For RbCaB2F8, a cell relaxed with PBE gives the simulated powder diffraction line list in this record (λ = 1.5418 Å (Cu Kα)).

Peak list (10 most intense, 2θ from 10° to 80°, in order of falling intensity)
2θ = 23.3°, rel. 100.0, (1 0 4); 2θ = 32.3°, rel. 23.3, (1 1 0); 2θ = 39.0°, rel. 21.7, (2 -1 6); 2θ = 34.0°, rel. 18.3, (1 1 3); 2θ = 40.6°, rel. 15.6, (1 0 10); 2θ = 52.4°, rel. 12.7, (2 1 4); 2θ = 47.7°, rel. 9.6, (2 0 8); 2θ = 50.8°, rel. 9.3, (3 -2 2); 2θ = 34.2°, rel. 9.3, (0 1 8); 2θ = 54.7°, rel. 8.3, (0 1 14)

```
data_RbCaB2F8
_symmetry_space_group_name_H-M 'R -3'
_symmetry_Int_Tables_number 148
_symmetry_space_group_name_Hall '-R 3'
_cell_length_a 5.5500
_cell_length_b 5.5500
_cell_length_c 25.0602
_cell_angle_alpha 90.00
_cell_angle_beta 90.00
_cell_angle_gamma 120.00
loop_
_atom_site_label
_atom_site_fract_x
_atom_site_fract_y
_atom_site_fract_z
Rb1 0.0000 0.0000 0.0000
Ca1 0.0000 0.0000 0.5000
B1 0.0000 0.0000 0.2337
F1 0.0000 0.0000 0.2890
F2 0.0430 0.2602 0.2134
```

---

Entry 3:
For CaFeB4, a cell relaxed with PBE gives the simulated powder diffraction line list in this record (λ = 1.5418 Å (Cu Kα)).
+++
Enterprise Risk Management
​Our experience includes:
United Nations Office of Counter Terrorism (UNOCT) - Enterprise risk management (ERM) training, ERM workshops, enterprise risk assessment, ERM Plan.
These records of crystals were left in the text by mistake.
<<<
(1)
FeHgO2F5: theoretical powder diffractogram (Cu Kα X-rays), based on a crystal structure in Alexandria, relaxed with PBE+U.
Lines closer than 0.1° are merged.

Largest 12 diffraction maxima, low angle first, 2θ = 15–90°:
15.63 deg, I 426, (1 1 0)
19.55 deg, I 600, (0 2 0)
24.54 deg, I 427, (2 0 0)
27.82 deg, I 1000, (1 1 1)
31.56 deg, I 250, (2 2 0)
39.33 deg, I 366, (2 2 1)
39.71 deg, I 458, (0 4 0)
45.27 deg, I 282, (3 1 1)
46.72 deg, I 144, (0 0 2)
47.22 deg, I 136, (2 4 0)
53.95 deg, I 162, (3 3 1)
57.44 deg, I 272, (1 5 1)

Cell and atoms:
```
data_FeHgO2F5
_symmetry_space_group_name_H-M 'P b a m'
_symmetry_Int_Tables_number 55
_symmetry_space_group_name_Hall '-P 2 2ab'
_cell_length_a 7.256
_cell_length_b 9.083
_cell_length_c 3.888
_cell_angle_alpha 90.00
_cell_angle_beta 90.00
_cell_angle_gamma 90.00
loop_
_atom_site_label
_atom_site_type_symbol
_atom_site_fract_x
_atom_site_fract_y
_atom_site_fract_z
Fe1 Fe 0.000 0.000 0.000
Hg1 Hg 0.000 0.500 0.500
O1 O 0.133 0.291 0.500
F1 F 0.000 0.000 0.500
F2 F 0.006 0.782 0.000
F3 F 0.232 0.502 0.000
```

***

(2)
V3F: theoretical powder diffractogram (Cu Kα X-rays), based on a crystal structure in Alexandria, relaxed with PBE+U.
Lines closer than 0.1° are merged.

Largest 12 diffraction maxima, low angle first, 2θ = 15–90°:
15.96 deg, I 79, (0 0 2)
25.77 deg, I 96, (1 0 1)
32.24 deg, I 424, (0 0 4)
34.57 deg, I 44, (1 0 3)
38.57 deg, I 1000, (1 1 2)
50.15 deg, I 216, (2 0 0)
60.88 deg, I 224, (2 0 4)
61.73 deg, I 214, (1 1 6)
73.65 deg, I 59, (2 2 0)
82.68 deg, I 84, (2 2 4)
86.37 deg, I 150, (3 1 2)
88.61 deg, I 71, (2 0 8)

Cell and atoms:
```
data_V3F
_symmetry_space_group_name_H-M 'I 4/m m m'
_symmetry_Int_Tables_number 139
_symmetry_space_group_name_Hall '-I 4 2'
_cell_length_a 3.638
_cell_length_b 3.638
_cell_length_c 11.108
_cell_angle_alpha 90.00
_cell_angle_beta 90.00
_cell_angle_gamma 90.00
loop_
_atom_site_label
_atom_site_type_symbol
_atom_site_fract_x
_atom_site_fract_y
_atom_site_fract_z
V1 V 0.000 0.000 0.000
V2 V 0.000 0.500 0.250
F1 F 0.000 0.000 0.500
```

* * * * *

# 1
# Ce3GaO
Calculated X-ray diffraction stick pattern, Cu Kα (λ = 1.5418 Å). Input: DFT lattice parameters and positions (GGA-PBE).
Kinematic intensities with the Lorentz-polarization factor, no thermal factor.

a = 4.7580 Å, b = 4.7892 Å, c = 19.4785 Å
α = 90.00°, β = 90.00°, γ = 90.00°
Space group Imma (No. 74)
Symmetry-distinct sites (fractional):
Ce1 0.0000 0.2500 0.0502 x4
Ce2 0.0000 0.2500 0.3125 x4
Ce3 0.0000 0.2500 0.8242 x4
Ga1 0.0000 0.2500 0.5664 x4
O1 0.0000 0.2500 0.1812 x4

The 10 most intense peaks (2θ from 10° to 90°), most intense first:
- (1 1 4), d = 2.774 Å, 32.27 deg, I = 100
- (0 2 0), d = 2.395 Å, 37.56 deg, I = 20
- (2 0 0), d = 2.379 Å, 37.82 deg, I = 20
- (0 0 8), d = 2.435 Å, 36.92 deg, I = 17
- (2 2 0), d = 1.688 Å, 54.36 deg, I = 16
- (1 3 4), d = 1.445 Å, 64.47 deg, I = 14
- (3 1 4), d = 1.438 Å, 64.82 deg, I = 13
- (0 2 8), d = 1.707 Å, 53.69 deg, I = 11
>>>
Department of Agriculture, Water, and Environment (including Australian Antarctic Division, Post Entry Quarantine Facility, and Biosecurity Operations) - Enterprise Security Risk Assessment, Agency Security Plan, and a five-year risk treatment plan.
Developed the security risk framework model for the Security Risk Management Body of Knowledge (SRMBOK).
Contributions to several Australian and international standards, including ISO31000 Risk Management Guidelines, ISO28000 Supply Chain Security Standard, and the ISO/TC 292 Security and resilience working group work on the draft ISO 22340 Protective security.
Project and Program Management
Responsible for the $56 million five-year security upgrades program across 60 nations for the Australian Trade Commission.
On-time and under-budget delivery of multiple concurrent projects for property and facility upgrades at Woodside Energy Ltd, and later for the Australian Trade Commission.
Project manager for the ICT network at under sensitive and challenging remote working conditions at an isolated secure facility (Immigration Reception and Processing Centre).
Management and operations for a remote African exploration operation in East Africa.
Enterprise Security Risk Assessment (ESRA)
Enterprise Security Risk Assessments (ESRAs) for several organizations, including the Australian Defence Organisation, Department of Agriculture, Water and Environment, Australian Antarctic Division, Parks Australia, Department of Finance Australian Trade Commission, Australia’s largest natural resources project (the $24 billion North West Shelf Project), Malaysian Smelting Corporations Indonesian operations.
Development and implementation of a $56 million security risk management budget on behalf of the Australian Government in a tight 3-month timeframe, as well as program manager of that 5-year international program.
Developed the Five-Year Security Plan, and Security Performance Scorecard for the Australian Defence Organisation.
Senior security risk analyst for a number of projects on behalf of the Australian government, including the development of the 80-year Strategic Security Plan for the SEA1000 New Submarine program.
Root Cause Analysis (RCA)
Our unique root cause analysis (RCA) model is based on the US DoD Human Factors Analysis Classification System (HFACS) using pre-event and post-event modeling based on James Reason's Swill Cheese Model and Bow-Tie analysis.
SERT has used this approach to conduct detailed investigations and analyses of complex incidents on behalf of many clients.
Our RCA model explores up to five layers of underlying issues. It can be particularly effective for investigating near-misses to identify any vulnerabilities and provide recommendations before an incident.
Procurement Advisory Services
Provided the senior risk adviser for the $300 million Defence Regional ICT Market Testing.
Managed six contracts, 200 staff, and a $16 million annual budget to provide facilities management for Australia’s largest resources project, the $24 billion NW Shelf Venture.
Procurement, market testing, cost basis analysis, and subsequent management of an $18M services contract, which delivered a $3 million savings (13%) at Woodside’s NW Shelf Venture.
Risk management advisory services for strategic project teams for grants management, procurement, information technology systems, and business continuity planning at the Department of Health and Ageing.